**Excerpt**
~~~
18
Properties=species:S:1:pos:R:3:forces:R:3:lowdin_charge:R:1 method="wB97M-V/def2-TZVPD" orbital_gap_ev=10.7 smiles="CC[C@@H](C)NC=O"
C -1.93732 -0.44991 -1.17716 0.0 0.0 0.0 -0.11
C -1.31085 0.20157 0.05430 0.0 0.0 0.0 -0.23
C 0.21748 0.32021 -0.01546 -0.1 0.1 -0.1 -0.39
C 0.74773 1.46234 0.84896 0.0 0.0 0.0 -0.05
N 0.83882 -0.94783 0.36967 0.1 0.0 0.0 0.05
C 2.14049 -1.21627 0.07690 0.0 0.1 -0.1 -0.36
O 2.83886 -0.54523 -0.65889 -0.3 -0.2 0.2 0.01
H -1.64184 0.08671 -2.08686 0.0 -0.1 0.2 0.08
H -1.62643 -1.49394 -1.29180 0.0 0.1 0.0 0.07
H -3.03056 -0.42168 -1.11960 0.2 -0.1 0.0 0.07
H -1.73306 1.20653 0.18192 0.1 -0.1 0.0 0.11
H -1.58888 -0.35420 0.96347 0.0 0.1 -0.1 0.11
H 0.51531 0.49797 -1.05565 0.0 0.0 0.2 0.14
H 0.30471 2.41513 0.53962 0.1 -0.1 0.0 0.08
H 0.49834 1.29016 1.90279 0.0 0.0 -0.1 0.08
H 1.83458 1.53696 0.75326 -0.2 0.0 0.0 0.08
H 0.42458 -1.45051 1.14340 0.1 0.0 -0.2 0.13
H 2.50804 -2.13802 0.57114 -0.1 0.1 -0.1 0.13

***

18
Properties=species:S:1:pos:R:3:forces:R:3:lowdin_charge:R:1 method="wB97M-V/def2-TZVPD" orbital_gap_ev=9.1 smiles="N/C=C/CCCO"
C -0.69398 1.80751 -0.41855 -0.5 -2.1 0.9 -0.25
O -2.13312 1.46161 -0.34607 1.7 1.8 3.1 -0.14
C 0.00898 1.17269 0.85477 1.7 -0.4 1.1 -0.20
C -0.38514 -0.30921 1.28427 0.6 0.9 -3.8 -0.20
C 0.37307 -1.48430 0.49668 -2.3 2.4 1.0 -0.08
C 0.85701 -1.30975 -0.73727 -0.1 1.2 0.5 -0.27
N 1.54416 -2.17459 -1.54769 1.1 -1.8 -3.2 -0.01
H -0.34007 1.44522 -1.41462 -0.1 0.3 1.0 0.11
H -0.55074 2.85924 -0.28751 0.0 0.8 -0.5 0.08
H -2.19496 1.74336 0.65286 -1.0 -1.0 -2.7 0.12
H -0.18898 1.84176 1.88311 0.6 -1.3 -3.0 0.15
H 1.17235 1.07496 0.65166 -2.2 0.8 0.6 0.13
H -0.19622 -0.34483 2.31144 0.2 -0.5 1.6 0.06
H -1.45434 -0.38873 1.06925 0.0 -0.3 0.4 0.09
H 0.06265 -2.35603 1.05500 0.9 -0.9 -0.6 0.09
H 0.92154 -0.29672 -1.23157 -0.3 -0.8 1.3 0.11
H 1.22538 -3.11323 -1.95007 0.2 2.0 1.5 0.12
H 1.97241 -1.62896 -2.32569 -0.5 -1.1 0.9 0.09

***

18
Properties=species:S:1:pos:R:3:forces:R:3:lowdin_charge:R:1 method="wB97M-V/def2-TZVPD" orbital_gap_ev=9.1
C -1.04768 -0.87812 -1.30582 2.1 0.5 -2.6 -0.13
C -0.86950 0.65769 -0.97454 1.5 -2.3 -1.3 -0.24
C 0.40887 0.90452 -0.16437 -0.9 -0.2 0.4 -0.09
C 1.31179 0.00252 0.28369 0.0 -1.3 1.6 -0.19
N 1.73134 -1.06273 -0.51941 0.1 0.0 -1.3 -0.05
C 2.95005 -1.40749 -0.49443 1.1 0.8 0.8 -0.06
H -0.08534 -1.14917 -1.94223 -2.2 0.2 1.3 0.09
H -1.93924 -1.18035 -1.93342 0.8 0.7 1.0 0.07
H -0.96392 -1.42695 -0.37977 -0.2 -0.4 0.1 0.05
H -1.78475 0.91218 -0.48159 -0.1 0.9 0.8 0.08
H -0.76015 1.25091 -1.86941 -0.5 0.2 -0.6 0.09
H 0.56222 1.94998 0.07190 -0.4 0.0 1.2 0.09
H 1.70837 -0.14190 1.33812 0.4 1.7 -1.1 0.13
H 3.44759 -1.81719 -1.38439 -0.6 -0.7 0.4 0.07
H 3.70321 -1.12231 0.32577 -1.1 0.0 -0.8 0.09
H -2.44937 2.04262 2.69702 0.0 0.1 0.0 0.03
H -2.92936 0.75593 3.31515 -0.1 -0.1 0.1 0.03
O -2.99414 1.70985 3.41774 0.1 -0.1 -0.2 -0.06

***

18
Properties=species:S:1:pos:R:3:forces:R:3:lowdin_charge:R:1 method="wB97M-V/def2-TZVPD" orbital_gap_ev="7.6 / 6.3"
C 1.30068 -0.17295 0.55139 -0.2 0.1 0.0 -0.28
C -1.26732 0.81846 -1.03541 -0.1 0.1 -0.2 -0.06
C 1.73427 -0.80844 -0.73415 -0.1 0.0 0.0 -0.08
C -1.03459 -0.08131 0.07146 0.3 -0.1 0.2 -0.17
N 1.65113 1.15287 0.72876 -0.2 -0.1 0.0 0.07
C -0.87615 -0.83228 1.01472 0.2 0.1 -0.2 0.10
O -3.08776 -0.98654 0.59473 0.0 0.1 0.1 -0.38
H -3.49497 -0.36673 1.21663 0.0 -0.1 -0.1 -0.08
H 1.47314 -0.76510 1.44193 0.0 0.0 0.0 0.11
H 1.52048 1.76559 -0.06413 0.0 -0.1 0.0 0.08
H 1.36440 1.58213 1.59598 0.0 -0.1 0.0 0.10
H -0.81554 -1.54722 1.79886 0.0 0.0 0.1 0.09
H -2.11301 1.46454 -0.80190 0.0 0.0 0.0 0.10
H -1.52100 0.24887 -1.93046 0.0 0.0 0.1 0.10
H -0.38984 1.44119 -1.24314 0.0 -0.1 0.0 0.07
H 1.32641 -1.81372 -0.82375 0.0 0.0 0.0 0.09
H 1.40096 -0.23104 -1.60061 0.0 0.0 0.0 0.07
H 2.82872 -0.86831 -0.78092 -0.1 0.0 0.0 0.08

***

18
Properties=species:S:1:pos:R:3:forces:R:3:lowdin_charge:R:1 method="wB97M-V/def2-TZVPD" orbital_gap_ev=8.9 smiles="C=NCCCCO"
C 0.98897 1.21871 -1.09078 -0.4 1.4 -1.5 -0.28
~~~

**Brief**
Find the line further up that holds "0.9 -3.8", then write out that line and all lines after it there, please.

**Completed**
C -0.38514 -0.30921 1.28427 0.6 0.9 -3.8 -0.20
C 0.37307 -1.48430 0.49668 -2.3 2.4 1.0 -0.08
C 0.85701 -1.30975 -0.73727 -0.1 1.2 0.5 -0.27
N 1.54416 -2.17459 -1.54769 1.1 -1.8 -3.2 -0.01
H -0.34007 1.44522 -1.41462 -0.1 0.3 1.0 0.11
H -0.55074 2.85924 -0.28751 0.0 0.8 -0.5 0.08
H -2.19496 1.74336 0.65286 -1.0 -1.0 -2.7 0.12
H -0.18898 1.84176 1.88311 0.6 -1.3 -3.0 0.15
H 1.17235 1.07496 0.65166 -2.2 0.8 0.6 0.13
H -0.19622 -0.34483 2.31144 0.2 -0.5 1.6 0.06
H -1.45434 -0.38873 1.06925 0.0 -0.3 0.4 0.09
H 0.06265 -2.35603 1.05500 0.9 -0.9 -0.6 0.09
H 0.92154 -0.29672 -1.23157 -0.3 -0.8 1.3 0.11
H 1.22538 -3.11323 -1.95007 0.2 2.0 1.5 0.12
H 1.97241 -1.62896 -2.32569 -0.5 -1.1 0.9 0.09

***

18
Properties=species:S:1:pos:R:3:forces:R:3:lowdin_charge:R:1 method="wB97M-V/def2-TZVPD" orbital_gap_ev=9.1
C -1.04768 -0.87812 -1.30582 2.1 0.5 -2.6 -0.13
C -0.86950 0.65769 -0.97454 1.5 -2.3 -1.3 -0.24
C 0.40887 0.90452 -0.16437 -0.9 -0.2 0.4 -0.09
C 1.31179 0.00252 0.28369 0.0 -1.3 1.6 -0.19
N 1.73134 -1.06273 -0.51941 0.1 0.0 -1.3 -0.05
C 2.95005 -1.40749 -0.49443 1.1 0.8 0.8 -0.06
H -0.08534 -1.14917 -1.94223 -2.2 0.2 1.3 0.09
H -1.93924 -1.18035 -1.93342 0.8 0.7 1.0 0.07
H -0.96392 -1.42695 -0.37977 -0.2 -0.4 0.1 0.05
H -1.78475 0.91218 -0.48159 -0.1 0.9 0.8 0.08
H -0.76015 1.25091 -1.86941 -0.5 0.2 -0.6 0.09
H 0.56222 1.94998 0.07190 -0.4 0.0 1.2 0.09
H 1.70837 -0.14190 1.33812 0.4 1.7 -1.1 0.13
H 3.44759 -1.81719 -1.38439 -0.6 -0.7 0.4 0.07
H 3.70321 -1.12231 0.32577 -1.1 0.0 -0.8 0.09
H -2.44937 2.04262 2.69702 0.0 0.1 0.0 0.03
H -2.92936 0.75593 3.31515 -0.1 -0.1 0.1 0.03
O -2.99414 1.70985 3.41774 0.1 -0.1 -0.2 -0.06

***

18
Properties=species:S:1:pos:R:3:forces:R:3:lowdin_charge:R:1 method="wB97M-V/def2-TZVPD" orbital_gap_ev="7.6 / 6.3"
C 1.30068 -0.17295 0.55139 -0.2 0.1 0.0 -0.28
C -1.26732 0.81846 -1.03541 -0.1 0.1 -0.2 -0.06
C 1.73427 -0.80844 -0.73415 -0.1 0.0 0.0 -0.08
C -1.03459 -0.08131 0.07146 0.3 -0.1 0.2 -0.17
N 1.65113 1.15287 0.72876 -0.2 -0.1 0.0 0.07
C -0.87615 -0.83228 1.01472 0.2 0.1 -0.2 0.10
O -3.08776 -0.98654 0.59473 0.0 0.1 0.1 -0.38
H -3.49497 -0.36673 1.21663 0.0 -0.1 -0.1 -0.08
H 1.47314 -0.76510 1.44193 0.0 0.0 0.0 0.11
H 1.52048 1.76559 -0.06413 0.0 -0.1 0.0 0.08
H 1.36440 1.58213 1.59598 0.0 -0.1 0.0 0.10
H -0.81554 -1.54722 1.79886 0.0 0.0 0.1 0.09
H -2.11301 1.46454 -0.80190 0.0 0.0 0.0 0.10
H -1.52100 0.24887 -1.93046 0.0 0.0 0.1 0.10
H -0.38984 1.44119 -1.24314 0.0 -0.1 0.0 0.07
H 1.32641 -1.81372 -0.82375 0.0 0.0 0.0 0.09
H 1.40096 -0.23104 -1.60061 0.0 0.0 0.0 0.07
H 2.82872 -0.86831 -0.78092 -0.1 0.0 0.0 0.08

***

18
Properties=species:S:1:pos:R:3:forces:R:3:lowdin_charge:R:1 method="wB97M-V/def2-TZVPD" orbital_gap_ev=8.9 smiles="C=NCCCCO"
C 0.98897 1.21871 -1.09078 -0.4 1.4 -1.5 -0.28